Reproduce the material further down unchanged, please.

<<<
Crystalline Pm3Nd4Y5 at its relaxed geometry, computed with PBE-GGA.

Structure (CIF):
```
data_Pm3Nd4Y5
_cell_length_a 6.287
_cell_length_b 7.251
_cell_length_c 8.881
_cell_angle_alpha 90.11
_cell_angle_beta 90.13
_cell_angle_gamma 90.04
_symmetry_space_group_name_H-M 'P 1'
_symmetry_Int_Tables_number 1
loop_
_symmetry_equiv_pos_as_xyz
'x,y,z'
loop_
_atom_site_label
_atom_site_fract_x
_atom_site_fract_y
_atom_site_fract_z
Pm1 0.000 0.000 0.000
Pm2 0.167 0.751 0.669
Pm3 0.833 0.249 0.331
Nd1 0.168 0.250 0.669
Nd2 0.331 0.500 0.333
Nd3 0.669 0.500 0.667
Nd4 0.832 0.750 0.331
Y1 0.000 0.500 0.000
Y2 0.333 0.000 0.331
Y3 0.500 0.249 0.000
Y4 0.500 0.751 0.000
Y5 0.667 0.000 0.669
```

calculated formation energy = 0.01 eV per atom
space-group type = No. 2
total energy = -5.456 eV/atom
total moment = 0.0 μB per cell


Ba3Ge5S12 after structural relaxation. Source: the Alexandria database, functional GGA-PBE. Values from VASP.

Its formation energy from raw total energies is -787 meV per atom. The final energy comes out at -4.707 eV/atom. Its density of states at the Fermi level is 38.38 states/eV per cell. The space group is Ia-3d.

Cell and atoms, written as Quantum ESPRESSO input:
```
&SYSTEM
  ibrav = 0, nat = 80, ntyp = 3
/
ATOMIC_SPECIES
Ba 137.33 Ba.upf
Ge 72.64 Ge.upf
S 32.06 S.upf
CELL_PARAMETERS angstrom
-13.0856 2.8260 3.4563
3.1232 -12.8849 3.9231
8.4651 8.9211 6.3183
ATOMIC_POSITIONS angstrom
Ba -7.5848 -1.5972 4.8532
Ba -8.0494 -6.0757 6.7564
Ba 2.7260 -3.0282 8.1874
Ba 0.2934 2.4413 3.7238
Ba -8.9432 3.0924 5.0943
Ba -0.8388 -4.7630 5.3277
Ba -0.6585 3.6253 8.3701
Ba 7.4459 -4.2302 8.6035
Ba -1.7907 -3.5790 9.9739
Ba -4.2233 1.8905 5.5103
Ba 6.5521 4.9380 6.9413
Ba 6.0876 0.4594 8.8445
Ge 1.6518 -2.2483 3.4828
Ge 1.5616 -6.4424 1.9616
Ge 0.0000 0.0000 0.0000
Ge -3.0682 -1.0463 3.0667
Ge -2.3102 5.8736 4.8873
Ge -4.9812 -5.0294 3.6897
Ge 3.8811 -5.9650 5.7437
Ge -2.0168 8.3149 8.6111
Ge -4.6878 -2.5881 7.4136
Ge 1.8321 6.1400 6.5252
Ge -3.3294 -7.2777 7.1725
Ge -0.7486 -0.5689 6.8489
Ge -6.5428 1.4130 1.7282
Ge 4.2326 4.4605 3.1591
Ge 3.1905 1.4504 6.2842
Ge 0.5195 -9.4526 5.0866
Ge 5.7941 -1.9819 5.1207
Ge -5.3784 4.8272 7.9540
Ge 1.5709 -0.0914 10.6311
Ge -3.1491 1.1106 10.2150
S -8.7195 0.6686 2.9644
S 0.9304 -2.1628 5.6402
S -9.1654 0.4429 6.8028
S -5.1510 -0.1542 3.2862
S 0.2946 -1.2501 9.1441
S -9.4335 -3.2402 6.9374
S 1.8749 -5.7347 6.7948
S 2.5156 -10.4417 4.6177
S 1.0794 -4.8671 10.2774
S -5.7620 -3.9426 5.9325
S -5.6366 -0.5416 7.1068
S -7.6822 -9.1989 6.4404
S 5.0806 -4.1446 6.3991
S -3.0495 -3.2834 3.4879
S 4.9167 -7.9144 6.3000
S 0.0495 5.0399 5.6340
S 1.1226 -0.3575 2.3308
S -3.3729 -6.6217 4.9930
S -5.2690 -6.7756 8.2534
S 0.6340 -4.0898 2.6136
S 4.7549 -4.4867 10.2410
S -2.4396 -2.5481 7.0576
S -4.9129 -3.3201 9.5574
S -1.7562 6.3481 9.7274
S 0.9424 1.4104 6.6401
S 3.4156 2.1823 4.1404
S 0.2589 -7.4858 3.9703
S 3.7717 5.6378 5.4443
S -6.2522 3.3490 3.4568
>>>

Crystalline Pm3Nd4Y5 at its relaxed geometry, computed with PBE-GGA.

Structure (CIF):
```
data_Pm3Nd4Y5
_cell_length_a 6.287
_cell_length_b 7.251
_cell_length_c 8.881
_cell_angle_alpha 90.11
_cell_angle_beta 90.13
_cell_angle_gamma 90.04
_symmetry_space_group_name_H-M 'P 1'
_symmetry_Int_Tables_number 1
loop_
_symmetry_equiv_pos_as_xyz
'x,y,z'
loop_
_atom_site_label
_atom_site_fract_x
_atom_site_fract_y
_atom_site_fract_z
Pm1 0.000 0.000 0.000
Pm2 0.167 0.751 0.669
Pm3 0.833 0.249 0.331
Nd1 0.168 0.250 0.669
Nd2 0.331 0.500 0.333
Nd3 0.669 0.500 0.667
Nd4 0.832 0.750 0.331
Y1 0.000 0.500 0.000
Y2 0.333 0.000 0.331
Y3 0.500 0.249 0.000
Y4 0.500 0.751 0.000
Y5 0.667 0.000 0.669
```

calculated formation energy = 0.01 eV per atom
space-group type = No. 2
total energy = -5.456 eV/atom
total moment = 0.0 μB per cell


Ba3Ge5S12 after structural relaxation. Source: the Alexandria database, functional GGA-PBE. Values from VASP.

Its formation energy from raw total energies is -787 meV per atom. The final energy comes out at -4.707 eV/atom. Its density of states at the Fermi level is 38.38 states/eV per cell. The space group is Ia-3d.

Cell and atoms, written as Quantum ESPRESSO input:
```
&SYSTEM
  ibrav = 0, nat = 80, ntyp = 3
/
ATOMIC_SPECIES
Ba 137.33 Ba.upf
Ge 72.64 Ge.upf
S 32.06 S.upf
CELL_PARAMETERS angstrom
-13.0856 2.8260 3.4563
3.1232 -12.8849 3.9231
8.4651 8.9211 6.3183
ATOMIC_POSITIONS angstrom
Ba -7.5848 -1.5972 4.8532
Ba -8.0494 -6.0757 6.7564
Ba 2.7260 -3.0282 8.1874
Ba 0.2934 2.4413 3.7238
Ba -8.9432 3.0924 5.0943
Ba -0.8388 -4.7630 5.3277
Ba -0.6585 3.6253 8.3701
Ba 7.4459 -4.2302 8.6035
Ba -1.7907 -3.5790 9.9739
Ba -4.2233 1.8905 5.5103
Ba 6.5521 4.9380 6.9413
Ba 6.0876 0.4594 8.8445
Ge 1.6518 -2.2483 3.4828
Ge 1.5616 -6.4424 1.9616
Ge 0.0000 0.0000 0.0000
Ge -3.0682 -1.0463 3.0667
Ge -2.3102 5.8736 4.8873
Ge -4.9812 -5.0294 3.6897
Ge 3.8811 -5.9650 5.7437
Ge -2.0168 8.3149 8.6111
Ge -4.6878 -2.5881 7.4136
Ge 1.8321 6.1400 6.5252
Ge -3.3294 -7.2777 7.1725
Ge -0.7486 -0.5689 6.8489
Ge -6.5428 1.4130 1.7282
Ge 4.2326 4.4605 3.1591
Ge 3.1905 1.4504 6.2842
Ge 0.5195 -9.4526 5.0866
Ge 5.7941 -1.9819 5.1207
Ge -5.3784 4.8272 7.9540
Ge 1.5709 -0.0914 10.6311
Ge -3.1491 1.1106 10.2150
S -8.7195 0.6686 2.9644
S 0.9304 -2.1628 5.6402
S -9.1654 0.4429 6.8028
S -5.1510 -0.1542 3.2862
S 0.2946 -1.2501 9.1441
S -9.4335 -3.2402 6.9374
S 1.8749 -5.7347 6.7948
S 2.5156 -10.4417 4.6177
S 1.0794 -4.8671 10.2774
S -5.7620 -3.9426 5.9325
S -5.6366 -0.5416 7.1068
S -7.6822 -9.1989 6.4404
S 5.0806 -4.1446 6.3991
S -3.0495 -3.2834 3.4879
S 4.9167 -7.9144 6.3000
S 0.0495 5.0399 5.6340
S 1.1226 -0.3575 2.3308
S -3.3729 -6.6217 4.9930
S -5.2690 -6.7756 8.2534
S 0.6340 -4.0898 2.6136
S 4.7549 -4.4867 10.2410
S -2.4396 -2.5481 7.0576
S -4.9129 -3.3201 9.5574
S -1.7562 6.3481 9.7274
S 0.9424 1.4104 6.6401
S 3.4156 2.1823 4.1404
S 0.2589 -7.4858 3.9703
S 3.7717 5.6378 5.4443
S -6.2522 3.3490 3.4568